Sumerian Blood: Gilgamesh against the Gods

Sumerian Blood: Gilgamesh against the Gods

Oh hey Archon, longtime no see. No, really, this game is indeed an Archon, and seems like it would have easily fit in back in the early EA days, alongside Adept and Mail Order Monsters.

Sumerian Blood almost feels like a prequel to Archon. The various units are nicely diverse, the combat’s fun, and it’s easy enough to aim and control. You’ve got various units that fling spikes, bouncing arrows, homing balls, or just throw themselves explosively at enemies, so combat’s going to stay fresh for awhile.

Real player with 1.6 hrs in game

Read More: Best Board Game Arena Shooter Games.

Pretty fun. Somewhat janky combat, but that’s part of the appeal. I’d love to see a sequel with more options / game customization and tighter controls.

Real player with 1.1 hrs in game

Sumerian Blood: Gilgamesh against the Gods on Steam

Zombie Wars

Zombie Wars

something is definitely WRONG with my down load of this game ALL THE SCENES ARE RAINBOW BRIGHT COLORED !!

Real player with 10.4 hrs in game

Read More: Best Board Game Action Games.

Mutlaka desteklenmesi gereken yapımlardan bir tanesi. Arkadaşlar, oynayıp destek verin ve geliştirilmesi için oyuncular olarak elimizden geleni yapalım. İyi yerlere gelmesi gerekiyor bu yapımın!

Real player with 0.9 hrs in game

Zombie Wars on Steam

Wild Wild Chess

Wild Wild Chess

Nice thematic chess, killing pieces with a pistol is so coll.

The art style helps me to forget how I suck on chess. :D:D:D Bang Bang

Real player with 3.2 hrs in game

Read More: Best Board Game Turn-Based Tactics Games.

I’m following all the thematic Chess serie! Loved the wild west theme!! Waiting for more!

Real player with 1.5 hrs in game

Wild Wild Chess on Steam



‘Pop’s’ is a fun little arcade stall style shooter in which you have to shoot various toys with a colour corresponding ball. Set in a funfair style setting the graphics are bright and colourful keeping with the fun theme. The good news is the gameplay is also fun and very simple to get into (despite the long, drawn-out tutorial). Provided you are going to play this at a VR party with friends or you just enjoy chasing your own score you will get your money’s worth there, but in truth, there really isn’t a lot of content. Sure, its not original and you don’t get a lot for your money, but its a bit of fun for a small price and that is good enough for me.

Real player with 0.2 hrs in game

<<<
1.
DFT (the ωB97M-V functional and the def2-TZVPD basis) results for C16H24N2O3 in the gas phase.

Each line ends with the Mulliken charge.
Positions of all 45 atoms, in Å:
1 C 2.830169 4.468370 2.109184  -1.6851
2 C 1.538279 4.012810 1.437474  0.4187
3 C 1.733857 3.813110 -0.065378  -0.4123
4 C 0.428377 3.325143 -0.709790  -1.0151
5 N -0.150462 2.149185 -0.102413  0.1961
6 C 0.167278 0.859204 -0.657443  -0.9447
7 C 1.571406 0.282135 -0.396900  0.3781
8 C 1.826095 -1.013930 -1.165940  -1.2355
9 C 0.961144 -2.186558 -0.709335  -0.7858
10 O -0.327801 -2.047830 -1.283356  -0.2191
11 C -1.278508 -2.959027 -1.024776  0.4331
12 C -1.108644 -4.093574 -0.225733  -0.1659
13 C -2.159184 -4.966377 -0.036244  -0.6232
14 C -3.387404 -4.718686 -0.637150  -0.1661
15 N -4.471601 -5.631533 -0.437959  1.0073
16 O -5.528806 -5.384323 -0.983304  -0.6285
17 O -4.273279 -6.603156 0.264936  -0.6231
18 C -3.570670 -3.588066 -1.432795  -0.3513
19 C -2.525952 -2.718908 -1.622408  -0.4685
20 C -0.260530 2.263667 1.333285  -1.0847
21 C 1.028328 2.704370 2.041576  -0.3958
22 H 3.177438 5.403351 1.674998  0.4184
23 H 2.673955 4.620856 3.174845  0.4160
24 H 3.610810 3.720735 1.981159  0.3428
25 H 0.773337 4.784113 1.587074  0.2227
26 H 2.031671 4.753098 -0.534552  0.3994
27 H 2.534577 3.089766 -0.230023  0.0936
28 H 0.583571 3.128301 -1.772519  0.4055
29 H -0.313222 4.130787 -0.620973  0.4388
30 H -0.578642 0.157430 -0.273889  0.2749
31 H 0.021017 0.929572 -1.739669  0.2598
32 H 2.321236 1.010479 -0.708591  0.0172
33 H 1.701655 0.095132 0.670894  0.1782
34 H 2.871917 -1.300999 -1.039082  0.4423
35 H 1.644082 -0.852609 -2.229718  0.3695
36 H 0.887122 -2.201899 0.385991  0.4509
37 H 1.409925 -3.130850 -1.046116  0.5468
38 H -0.162264 -4.301197 0.246638  0.4164
39 H -2.043393 -5.847864 0.575764  0.4440
40 H -4.534206 -3.415831 -1.886791  0.4523
41 H -2.635387 -1.835566 -2.230446  0.4273
42 H -0.605637 1.307998 1.733702  0.4140
43 H -1.034816 3.014698 1.540619  0.4145
44 H 0.823801 2.835581 3.106174  0.4255
45 H 1.799361 1.938892 1.938983  0.1007

Force components x, y, z for each atom (eV/Å):
C -0.32 0.02 -0.09
C 0.38 -0.21 0.01
C -0.37 0.08 0.07
C 0.13 0.06 -0.07
N 0.02 0.09 0.03
C 0.11 -0.09 0.12
C -0.20 -0.02 -0.26
C -0.28 -0.10 0.32
C 0.53 -0.08 -0.03
O -0.11 0.17 -0.17
C -0.43 -0.29 0.04
C 0.27 0.33 -0.12
C -0.50 -0.15 -0.08
C 1.08 0.80 -0.13
N -0.48 -0.43 0.11
O -0.21 0.01 -0.08
O -0.02 -0.19 0.12
C -0.12 -0.27 0.13
C 0.34 0.02 0.11
C 0.04 -0.05 0.13
C -0.31 0.21 -0.15
H 0.10 0.11 -0.02
H 0.05 0.03 0.14
H 0.11 -0.09 -0.01
H -0.04 0.00 -0.01
H 0.07 0.04 -0.03
H 0.08 -0.02 -0.01
H -0.07 0.04 -0.03
H 0.07 0.07 -0.10
H 0.02 -0.01 -0.12
H -0.05 -0.10 -0.01
H 0.04 0.05 0.09
H 0.08 0.05 0.07
H -0.01 -0.05 -0.07
H 0.09 -0.06 -0.09
H -0.02 -0.04 -0.06
H -0.11 0.06 0.08
H 0.08 0.00 0.03
H 0.01 -0.01 0.01
H -0.02 0.02 -0.02
H -0.04 0.10 -0.08
H -0.08 0.01 0.01
H -0.01 -0.05 0.13
H 0.03 -0.02 0.08
H 0.08 -0.06 0.03

Calculated values
highest occupied orbital energy = -8.0 eV
>>>
The records of molecules stop here.

Pop's on Steam

Parkur 44

Parkur 44


There is only one rule in the game and that is to know the end of the track you play!

You will be given a period of time before starting the course, during which time you will have to finish the game.

If the time runs out, you have to start again from the very beginning of the track.

  • There are multiple maps in the game.

  • You can continue by selecting a map of your choice.

  • The game has a level system.

  • You earn level points when you finish each track.

If you want to play the game with your friend, you can create a room and compete with each other by entering the same Lan connection.

Currently there is no multiplayer system available.

Future times are planned.

Parkur 44 on Steam

King Bullseye: The Chess Strike

- - -
Run w
Molecular formula: C3H12NO2S2
Method: DFT, ωB97M-V with the def2-TZVPD basis set

Last column: Löwdin charge in e.
CARTESIAN COORDINATES (ANGSTROEM)
N -1.3919 0.4942 0.0977  0.189
C -0.0876 0.9817 -0.4947  -0.335
C -0.2802 2.2995 -1.2409  -0.156
O -1.5321 2.8654 -0.7974  -0.049
C 0.6696 -0.0114 -1.3464  -0.524
S 1.4706 -1.3771 -0.5263  0.549
S 0.0564 -2.1731 0.6865  0.426
H -1.2325 -0.4685 0.4352  0.014
H -2.1871 0.4972 -0.5363  0.173
H -1.5529 1.0510 0.9331  0.149
H 0.4922 1.1275 0.4155  0.131
H -0.2690 2.1821 -2.2781  0.116
H 0.4696 2.9630 -0.8714  0.132
H -1.7647 3.5279 -1.4485  0.102
H 0.0343 -0.3241 -2.1550  0.091
H 1.4478 0.5041 -1.8784  0.092
H -0.1047 -3.3446 0.0452  -0.143
H 0.1968 -0.4951 3.2270  0.053
H -0.6073 0.8365 3.1540  0.055
O 0.0637 0.3108 2.7112  -0.064

The calculation puts the HOMO energy at -12.9 eV. As for the charge: +1.

---

Run x
Molecular formula: C3H12NO2S2
Method: DFT, ωB97M-V with the def2-TZVPD basis set

Last column: Löwdin charge in e.
CARTESIAN COORDINATES (ANGSTROEM)
N -0.1997 -0.9944 0.3001  0.160
C -0.0321 0.4306 -0.2969  -0.307
C -0.2455 0.5206 -1.8644  -0.278
O -1.3991 -0.0651 -2.2590  -0.070
C 1.4334 0.8666 -0.0594  -0.604
S 2.0425 0.9348 1.5660  0.503
S 3.1533 -0.7740 2.0479  0.412
H 0.7431 -1.3296 0.7996  0.144
H -0.4402 -1.7013 -0.4634  0.183
H -1.0693 -0.8130 0.9913  0.158
H -0.8390 0.9693 0.2687  0.153
H 0.5755 -0.0548 -2.3665  0.146
H -0.2578 1.5950 -2.1280  0.144
H -2.0711 0.6777 -2.5802  0.185
H 2.1166 0.0800 -0.5418  0.100
H 1.7246 1.7943 -0.6210  0.109
H 3.7874 -1.0243 0.9946  -0.243
H -2.8099 -0.6142 2.7905  0.020
H -3.4637 0.0429 1.5386  0.097
O -2.7489 -0.5412 1.8833  -0.013

The calculation puts the HOMO energy at -12.2 eV. As for the charge: +1.

---

It turns out run w is the most stable, with the second structure 0.0430 hartree higher.

---

Run w
Molecular formula: CH2N2O2S2
Method: DFT, ωB97M-V with the def2-TZVPD basis set

Last column: Löwdin charge in e.
CARTESIAN COORDINATES (ANGSTROEM)
C -1.2314 0.5727 -3.7950  -0.764
N -0.8834 0.5236 -4.8497  0.131
N 0.3185 -0.1578 -0.0443  -0.041
O 0.8435 -0.4657 -2.4465  -0.298
O 0.7641 1.7959 -1.5152  -0.311
S -1.8432 0.6792 -2.2317  0.776
S 0.2783 0.4657 -1.5411  0.384
H 0.2754 -1.1128 -0.2711  0.057
H 0.1436 0.1648 0.8453  0.067

The calculation puts the HOMO energy at -10.4 eV. Its SMILES is N#CSS(N)(=O)=O.

---

Run x
Molecular formula: CH2N2O2S2
Method: DFT, ωB97M-V with the def2-TZVPD basis set

Last column: Löwdin charge in e.
CARTESIAN COORDINATES (ANGSTROEM)
C 0.3402 -0.3382 0.0352  -1.005
N -0.8538 -0.6878 -0.0633  0.031
N -1.9678 0.0366 0.0406  -0.490
O -2.6191 0.2360 -0.9292  0.130
O -2.1207 0.3829 1.1955  0.077
S 1.6059 -1.5570 0.1909  0.751
S 0.8783 1.4202 0.2015  0.767
H 2.7249 -0.7198 -0.2974  -0.053
H 2.0121 1.2270 -0.3737  -0.207

The calculation puts the HOMO energy at -10.3 eV. Its SMILES is O=[N+]([O-])N=C(S)S.

---

Run y
Molecular formula: CH2N2O2S2
Method: DFT, ωB97M-V with the def2-TZVPD basis set
- - -

King Bullseye: The Chess Strike

A fun shoot em up, I quite enjoyed this game. Simple to play :)

Real player with 6.5 hrs in game

a very frantic game, and a great warm-up to play an FPS

Real player with 2.8 hrs in game

King Bullseye: The Chess Strike on Steam

Chickens Madness

Chickens Madness

Bought this looking for something fun to play with the 4 yo in front of the TV. Pretty clunky and unfinished to begin with, the lastest update has tightened up some problems with the controls and added a bunch of game modes. The kid loves it - there’s some charm to the game, but a couple of things sour it.

1. The violence - one mini game involves squashing baby chicks into bloody spots - not really enjoyable and adds a nasty tinge to the otherwise family friendly fun, sure you can skip/remove from the list but wouldn’t miss it if it was removed.

Real player with 12.6 hrs in game

nice early game with 4p (players) in 2hours after i play with another guys cuz thier no any things happen when we replay the mini games no mods no bots no death player can do any thing

but i like it

before u buy it the game without online

Real player with 12.3 hrs in game

Chickens Madness on Steam

Just Die Already

Just Die Already

After a lot of re-consideration, I think i can reccomend this game, For the price and the amount of hours i play’d it. I did have fun, There were times i wanted to smash my controller, and others i laughed like a maniac. The Problems i have with this game, is how it feels unfinished and very limited in how it wants you to achieve the objectives. For example a puzzle in the game is in Zen park and it involves moving a green statue. They have these statues all over the map, What if you wanted to take the statue from the park and drag it across the map to do the challenge, sure more work but in games like this, you also make the challenge/fun for your self a lot of time. You cant do that here, none of the other statues move, just a certian one the game wants you to move you can move. Same electrocuting your self in water, it only works in one type of water source. The ocean, pool, kiddie pool, and fire hydrant all dont work, its just the fish tank that works for it. This added a layer of puzzle on top of the challenges. You may understand what its asking, just not how the devs want you to do it, another example is to de-rail the tram, i would have loved to be able to derail it with force, by clogging the track enough. i put on the 3 flattners, 2 forklifts and the 1 giant green statue from zen garden and nothing happend, the tram could only be derailed by electricity. But overall i had fun doing the tasks once i understood how to do them, and the frustrating path to get there was kinda fun? Another thing that makes this game feel unfinished is the amount of clipping buildings and invisible walls. You will often times see a building clipping through another building, or a invisible wall that dosent line up with a physical wall right beside it. Some of the rewards for doing challenges feel pointless. For setting off the biggest firewrok on the docks, it opens a room, with nothing in it. For moving the statue we talked about earlier, you unlock a furry room, a ninja mask, and a healing well. A lot of sections leave more to be desired, and thats where my frustration with this game comes from, it could have been so much better, they could have added more challenges to the toy store and other sections that only have 2 or 3. Overall i did have fun playing this and would reccomend to anyone who findes the trailer intruging

Real player with 24.7 hrs in game

A real review:

Game mechanics: The game mechanics are how you expect with a rag-doll physics, but the aiming is actually a lot better than expected. Some things are hard to control, like cars, but that is what is expected when you are a elderly person.

Content: This game has so much content, and for 14.99 it is a really good game to play with your friends, or even by yourself. I see a lot of people writing reviews about them getting bored, well explore the maps, do the puzzles, there are some insane puzzles, there is even A ROCKET SHIP THAT SHOOTS YOU INTO SPACE. You can customize your character, get buff, unlock new areas, play basketball, play tennis, kill someone’s brother, unlock items like a rocket ship backpack. get eaten by a shark, destroy things with explosives, etc. There is so much content and it is insane and 14.99 is a perfect price.

Real player with 15.6 hrs in game

Just Die Already on Steam

Energy Island Corp.

Energy Island Corp.

In Electric City Manager, you’ll manage an electric grid on small islands. When you arrive on an island, there is only few inhabitants and no electric facilities.

It’s your job to build a robust electric grid which can support the development of the island in every domain: tourism, industry, residential, health, …

Every day starts with a preparation phase. You can construct new buildings, buy raw materials and manage different aspect of your grid.

When you’re ready, the clock starts and you can see in real time, minute by minute the electricity quantity you produced and the electricity being consumed by the city.

It’s important to produce enough electricity to match the demand and avoid power outage. On the other side, producing too much electricity will damage all your electric grid and waste a lot of money.

**Attached: calculated molecules**
/*
170
Properties=species:S:1:pos:R:3:forces:R:3:mulliken_charge:R:1 method="wB97M-V/def2-TZVPD" gap_ev=8.90 molar_mass_g_mol=964.3 e_above_lowest_kcal_mol=0.0 smiles="COC[C@H](C)N.COC[C@H](C)N.COCCNCCOC.COCCNCCOC.COCCNCCOC.COCCNCCOC.COCCNCCOC.NC(N)=O.NC(N)=O"
C -8.46659 -19.55369 4.19961 -3.82 -1.68 -1.96 0.53
O -7.84473 -20.41520 4.67488 4.23 -3.64 2.90 -0.68
N -9.57893 -19.78110 3.54918 -3.24 -2.10 -1.29 0.59
N -8.27626 -18.30221 4.16755 3.46 6.03 1.22 -0.32
H -9.99427 -19.02773 3.01999 -0.16 -0.90 -0.13 0.23
H -9.89592 -20.73995 3.53351 -0.30 0.14 -0.26 -0.39
H -7.33978 -18.09374 4.48322 -0.33 1.23 -0.09 0.23
H -8.97651 -17.67268 3.80225 0.84 0.14 0.25 0.15
C -6.36327 -20.75752 -0.96399 4.07 -3.00 -0.37 0.66
O -5.58952 -21.60678 -1.46948 -1.67 1.29 0.23 -0.75
N -6.46063 -20.57529 0.33762 0.06 -1.20 3.01 -0.28
N -7.01113 -19.80457 -1.51413 -3.26 4.29 -5.69 -0.24
H -5.58566 -20.86277 0.75222 -0.53 0.30 0.99 0.21
H -7.02937 -19.77132 0.56178 0.76 -0.17 1.14 0.13
H -6.95480 -19.55208 -2.49043 0.32 -1.03 -0.18 0.19
H -7.49944 -19.03072 -1.08658 0.15 -0.35 0.98 0.12
C -14.53948 -10.50647 8.88565 0.95 -1.48 -1.01 -0.69
O -13.58870 -11.32169 8.14635 -0.57 -0.72 0.02 -0.35
C -12.94226 -12.32408 8.96585 1.01 1.69 0.25 -0.63
C -12.22920 -13.40463 8.17000 -1.32 1.01 -1.50 -0.60
N -13.05179 -13.72465 7.02011 1.27 -3.07 -0.08 -0.11
C -12.49064 -14.82153 6.17342 -2.37 1.83 -0.87 -0.52
C -13.66732 -15.24276 5.18935 2.47 -1.71 -0.10 -0.74
O -13.20225 -15.32876 3.80749 0.19 -1.75 1.49 -0.08
C -13.09922 -14.07313 3.30319 -0.11 2.18 -0.26 -0.77
H -13.95550 -9.93310 9.60559 -0.56 0.26 0.22 0.28
H -15.27228 -11.19496 9.30646 -0.02 0.21 0.63 0.31
H -15.08398 -9.91876 8.14659 0.38 0.31 0.14 0.23
H -13.59116 -12.71861 9.74775 -0.37 -0.15 -0.26 0.43
H -12.14645 -11.75920 9.45135 0.12 -0.10 0.69 0.35
H -12.02027 -14.26142 8.81059 -0.33 -0.24 0.07 0.29
H -11.26172 -13.09797 7.77245 0.35 0.52 0.35 0.31
H -13.81316 -13.16551 6.66261 0.62 0.14 0.35 0.25
H -12.07564 -15.67182 6.71461 -0.60 -0.04 0.58 0.34
H -11.64139 -14.52163 5.55947 0.17 0.50 -0.23 0.31
H -14.57312 -14.64542 5.29331 0.10 0.14 -0.09 0.49
H -13.83522 -16.29056 5.43839 -0.70 0.11 -0.07 0.16
H -14.13739 -13.74504 3.25178 0.05 1.07 -0.53 0.28
H -12.55314 -13.91779 2.37273 -0.41 -1.00 -0.45 0.11
H -12.50271 -13.40632 3.92580 -0.26 0.25 0.70 0.40
C -11.14681 -20.07656 7.63294 -1.09 -0.50 -0.57 -0.67
O -11.22263 -21.19587 6.75370 -1.60 0.32 -0.71 -0.38
C -12.33730 -21.01529 5.83263 1.44 -1.05 -1.52 -0.19
C -12.60106 -22.31878 5.01460 1.12 0.50 1.68 -1.02
N -11.37365 -22.92119 4.42255 -1.63 0.03 -0.67 0.11
C -11.73629 -24.20394 3.80656 1.70 -0.41 -1.17 -0.83
C -10.42603 -24.78719 3.00907 -2.14 1.51 -0.47 -0.96
O -10.05847 -23.81000 2.02439 2.09 0.08 0.73 0.04
C -8.59540 -23.58910 1.98268 -1.96 0.51 1.22 -0.64
H -12.06822 -20.04731 8.21454 0.03 -0.25 0.71 0.36
H -11.26874 -19.16662 7.04537 1.00 0.40 -0.05 0.14
H -10.26187 -20.18452 8.26010 -0.10 0.34 -0.27 0.27
H -12.07884 -20.31161 5.04133 0.63 0.60 0.26 0.07
*/

  • Make your own energy mix: Solar panels only produce when sun is up, oil generators are expensive to run, … Each primary energy has its own characteristics, you must mix them to find the better balance.

  • Manage raw materials supply: Some buildings need resources (oil, coal, …) to run. You must buy them at best price, and build infrastructure to store them.

  • Watch electricity production / consumption: Managing an electric grid is hard. Electricity is hard to store, consumption vary between consumption peaks and low demands periods. Adapt yourself and manage your grid with information you get from the production / consumption chart.

Energy Island Corp. on Steam